Source >
____________
1.
# Co2P2O7

Crystalline Co2P2O7 at its relaxed geometry (PBE with a Hubbard U, the Materials Project database).

Structure (POSCAR):
```
Co2P2O7
1.0
8.4424 0.0000 0.0000
0.0000 7.0780 0.0000
0.0000 3.5887 8.3782
Co P O
8 8 28
direct
0.9373 0.3034 0.3170
0.4373 0.6966 0.1830
0.0627 0.6966 0.6830
0.5627 0.3034 0.8170
0.4262 0.7685 0.6087
0.9262 0.2315 0.8913
0.5738 0.2315 0.3913
0.0738 0.7685 0.1087
0.2755 0.4670 0.9674
0.7755 0.5330 0.5326
0.7245 0.5330 0.0326
0.2245 0.4670 0.4674
0.2679 0.0640 0.2577
0.7679 0.9360 0.2423
0.7321 0.9360 0.7423
0.2321 0.0640 0.7577
0.1127 0.4444 0.8989
0.6127 0.5556 0.6011
0.8873 0.5556 0.1011
0.3873 0.4444 0.3989
0.4094 0.5173 0.8435
0.9094 0.4827 0.6565
0.5906 0.4827 0.1565
0.0906 0.5173 0.3435
0.1110 0.1192 0.3092
0.6110 0.8808 0.1908
0.8890 0.8808 0.6908
0.3890 0.1192 0.8092
0.4021 0.0263 0.3806
0.9021 0.9737 0.1194
0.5979 0.9737 0.6194
0.0979 0.0263 0.8806
0.1696 0.2514 0.5995
0.6696 0.7486 0.9005
0.8304 0.7486 0.4005
0.3304 0.2514 0.0995
0.2334 0.6225 0.5476
0.7334 0.3775 0.9524
0.7666 0.3775 0.4524
0.2666 0.6225 0.0476
0.2422 0.8834 0.7034
0.7422 0.1166 0.7966
0.7578 0.1166 0.2966
0.2578 0.8834 0.2034
```

Calculated formation energy (meV/atom): -2253
DFT total energy (eV per atom): -6.94
Offset from the most stable computed form (eV/atom): 0.000

=====

2.
# CoP3O9

Crystalline CoP3O9 at its relaxed geometry (PBE with a Hubbard U, the Materials Project database).

Structure (POSCAR):
```
CoP3O9
1.0
6.3520 0.0000 0.0000
0.0000 9.9580 0.0000
0.0000 0.0000 10.8058
Co P O
4 12 36
direct
0.0000 0.0000 0.0000
0.5000 0.0000 0.5000
0.0000 0.5000 0.5000
0.5000 0.5000 0.0000
0.7500 0.9181 0.7500
0.3613 0.7892 0.8680
0.1387 0.7892 0.6320
0.8613 0.7108 0.1320
0.6387 0.7108 0.3680
0.2500 0.5819 0.2500
0.7500 0.4181 0.7500
0.3613 0.2892 0.6320
0.1387 0.2892 0.8680
0.6387 0.2108 0.1320
0.8613 0.2108 0.3680
0.2500 0.0819 0.2500
0.1496 0.9955 0.1519
0.3504 0.9955 0.3481
0.2421 0.9195 0.5969
0.2579 0.9195 0.9031
0.6128 0.8149 0.4668
0.8872 0.8149 0.0332
0.5915 0.8152 0.8099
0.9085 0.8152 0.6901
0.7500 0.7803 0.2500
0.2500 0.7197 0.7500
0.0915 0.6848 0.1901
0.4085 0.6848 0.3099
0.1128 0.6851 0.5332
0.3872 0.6851 0.9668
0.7579 0.5805 0.0969
0.7421 0.5805 0.4031
0.8504 0.5045 0.6519
0.6496 0.5045 0.8481
0.3504 0.4955 0.1519
0.1496 0.4955 0.3481
0.2579 0.4195 0.5969
0.2421 0.4195 0.9031
0.6128 0.3149 0.0332
0.8872 0.3149 0.4668
0.5915 0.3152 0.6901
0.9085 0.3152 0.8099
0.7500 0.2803 0.2500
0.2500 0.2197 0.7500
0.4085 0.1848 0.1901
0.0915 0.1848 0.3099
0.3872 0.1851 0.5332
0.1128 0.1851 0.9668
0.7421 0.0805 0.0969
0.7579 0.0805 0.4031
0.6496 0.0045 0.6519
0.8504 0.0045 0.8481
```

Calculated formation energy (meV/atom): -2285
DFT total energy (eV per atom): -6.90
Offset from the most stable computed form (eV/atom): 0.035

=====

3.
# Co3P2O9

Crystalline Co3P2O9 at its relaxed geometry (PBE with a Hubbard U, the Materials Project database).

Structure (POSCAR):
```
Co3P2O9
1.0
-1.9460 5.4078 5.6279
-9.0563 -0.9101 -2.2568
-5.1861 -8.4147 6.2923
Co P O
12 8 36
direct
0.7086 0.8542 0.3296
0.2086 0.6458 0.6704
0.2914 0.1458 0.6704
0.7914 0.3542 0.3296
0.2443 0.1901 0.0842
0.7443 0.3099 0.9158
0.7557 0.8099 0.9158
0.2557 0.6901 0.0842
0.3195 0.0379 0.4266
0.8195 0.4621 0.5734
0.6805 0.9621 0.5734
0.1805 0.5379 0.4266
0.0106 0.3737 0.8490
0.5106 0.1263 0.1510
0.9894 0.6263 0.1510
0.4894 0.8737 0.8490
0.4906 0.6972 0.4950
0.9906 0.8028 0.5050
0.5094 0.3028 0.5050
0.0094 0.1972 0.4950
0.0925 0.5305 0.8196
0.5925 0.9695 0.1804
0.9075 0.4695 0.1804
0.4075 0.0305 0.8196
0.4183 0.1489 0.2584
0.9183 0.3511 0.7416
0.5817 0.8511 0.7416
0.0817 0.6489 0.2584
0.6169 0.2615 0.0720
0.1169 0.2385 0.9280
0.3831 0.7385 0.9280
0.8831 0.7615 0.0720
0.2660 0.4101 0.0491
0.7660 0.0899 0.9509
0.7340 0.5899 0.9509
0.2340 0.9101 0.0491
0.1702 0.8542 0.5298
0.6702 0.6458 0.4702
0.8298 0.1458 0.4702
0.3298 0.3542 0.5298
0.4342 0.6179 0.6290
0.9342 0.8821 0.3710
0.5658 0.3821 0.3710
0.0658 0.1179 0.6290
0.5233 0.8770 0.4625
____________

Activity >
Now set down the calculation results further up from the line with "0.035" to the end unchanged.

Result >
Offset from the most stable computed form (eV/atom): 0.035

=====

3.
# Co3P2O9

Crystalline Co3P2O9 at its relaxed geometry (PBE with a Hubbard U, the Materials Project database).

Structure (POSCAR):
```
Co3P2O9
1.0
-1.9460 5.4078 5.6279
-9.0563 -0.9101 -2.2568
-5.1861 -8.4147 6.2923
Co P O
12 8 36
direct
0.7086 0.8542 0.3296
0.2086 0.6458 0.6704
0.2914 0.1458 0.6704
0.7914 0.3542 0.3296
0.2443 0.1901 0.0842
0.7443 0.3099 0.9158
0.7557 0.8099 0.9158
0.2557 0.6901 0.0842
0.3195 0.0379 0.4266
0.8195 0.4621 0.5734
0.6805 0.9621 0.5734
0.1805 0.5379 0.4266
0.0106 0.3737 0.8490
0.5106 0.1263 0.1510
0.9894 0.6263 0.1510
0.4894 0.8737 0.8490
0.4906 0.6972 0.4950
0.9906 0.8028 0.5050
0.5094 0.3028 0.5050
0.0094 0.1972 0.4950
0.0925 0.5305 0.8196
0.5925 0.9695 0.1804
0.9075 0.4695 0.1804
0.4075 0.0305 0.8196
0.4183 0.1489 0.2584
0.9183 0.3511 0.7416
0.5817 0.8511 0.7416
0.0817 0.6489 0.2584
0.6169 0.2615 0.0720
0.1169 0.2385 0.9280
0.3831 0.7385 0.9280
0.8831 0.7615 0.0720
0.2660 0.4101 0.0491
0.7660 0.0899 0.9509
0.7340 0.5899 0.9509
0.2340 0.9101 0.0491
0.1702 0.8542 0.5298
0.6702 0.6458 0.4702
0.8298 0.1458 0.4702
0.3298 0.3542 0.5298
0.4342 0.6179 0.6290
0.9342 0.8821 0.3710
0.5658 0.3821 0.3710
0.0658 0.1179 0.6290
0.5233 0.8770 0.4625